There are oh so many treasures of nature right in our back yard and I experienced one of those very special places with my two young boys just the other day. A warm invitation from a good friend initiated the adventure on this crisp fall morning to the Mingo National Wildlife Refuge, located just a mile north of Puxico, Missouri. With picnic packed and four very excited boys, we arrived at the Visitor Center and checked out wonderful exhibits the educational center had on display. Our favorite was a “preserved” (or less elegantly described by a seven year old as “stuffed”) pair of 10 and 12-point White-tailed deer, their horns locked in a deadly tangle seconds before they both fell
+++
# 1
This entry pairs a crystal structure of KErBr4 with its simulated XRD peak list. Radiation: a wavelength of 1.5418 Å. Structure: the PBE geometry in Alexandria.
Neutral-atom scattering factors, no anomalous dispersion.

Cell and atoms:
abc: 9.514 9.514 7.002
angles: 107.92 107.92 115.43
Fractional positions:
1 K 0.166 0.834 0.750
2 K 0.834 0.166 0.250
3 Er 0.422 0.578 0.250
4 Er 0.578 0.422 0.750
5 Br 0.140 0.531 0.304
6 Br 0.252 0.344 0.768
7 Br 0.344 0.252 0.268
8 Br 0.469 0.860 0.196
9 Br 0.531 0.140 0.804
10 Br 0.656 0.748 0.732
11 Br 0.748 0.656 0.232
12 Br 0.860 0.469 0.696

Main lines, low angle first (2θ from 10° to 80°):
two_theta, intensity
11.99, 100
19.03, 30
20.93, 33
27.08, 22
28.49, 46
31.26, 33
31.37, 31
40.73, 19



# 2
This entry pairs a crystal structure of NaCa4Pr2 with its simulated XRD peak list. Radiation: a wavelength of 1.5418 Å. Structure: the PBE geometry in Alexandria.
Neutral-atom scattering factors, no anomalous dispersion.

Cell and atoms:
abc: 22.309 22.309 22.309
angles: 9.80 9.80 9.80
Fractional positions:
1 Na 0.000 0.000 0.000
2 Ca 0.097 0.097 0.097
3 Ca 0.382 0.382 0.382
4 Ca 0.618 0.618 0.618
5 Ca 0.903 0.903 0.903
6 Pr 0.188 0.188 0.188
7 Pr 0.812 0.812 0.812

Main lines, low angle first (2θ from 10° to 80°):
two_theta, intensity
27.84, 66
28.14, 61
30.22, 88
30.85, 100
33.03, 39
34.68, 42
47.72, 44
56.32, 49



# 3
This entry pairs a crystal structure of Tb2Er3Cd4 with its simulated XRD peak list. Radiation: a wavelength of 1.5418 Å. Structure: the PBE geometry in Alexandria.
Neutral-atom scattering factors, no anomalous dispersion.

Cell and atoms:
abc: 9.841 9.841 8.058
angles: 90.00 90.00 140.15
Fractional positions:
1 Tb 0.092 0.908 0.899
2 Tb 0.408 0.592 0.399
3 Tb 0.592 0.408 0.601
4 Tb 0.908 0.092 0.101
5 Er 0.000 0.000 0.500
6 Er 0.005 0.495 0.750
7 Er 0.495 0.005 0.250
8 Er 0.500 0.500 0.000
9 Er 0.505 0.995 0.750
10 Er 0.995 0.505 0.250
11 Cd 0.161 0.839 0.519
12 Cd 0.175 0.325 0.750
13 Cd 0.325 0.175 0.250
14 Cd 0.339 0.661 0.019
15 Cd 0.661 0.339 0.981
16 Cd 0.675 0.825 0.750
17 Cd 0.825 0.675 0.250
18 Cd 0.839 0.161 0.481

Main lines, low angle first (2θ from 10° to 80°):
two_theta, intensity
28.30, 16
29.70, 63
30.44, 29
34.81, 100
36.70, 39
38.26, 22
39.70, 18
61.55, 32



# 4
This entry pairs a crystal structure of Pr5PtS4 with its simulated XRD peak list. Radiation: a wavelength of 1.5418 Å. Structure: the PBE geometry in Alexandria.
Neutral-atom scattering factors, no anomalous dispersion.

Cell and atoms:
abc: 7.250 7.250 10.229
angles: 118.48 118.48 32.69
Fractional positions:
1 Pr 0.000 0.000 0.000
2 Pr 0.202 0.202 0.806
3 Pr 0.400 0.400 0.599
4 Pr 0.600 0.600 0.401
5 Pr 0.798 0.798 0.194
6 Pt 0.000 0.000 0.500
7 S 0.201 0.201 0.297
8 S 0.401 0.401 0.099
9 S 0.599 0.599 0.901
10 S 0.799 0.799 0.703

Main lines, low angle first (2θ from 10° to 80°):
two_theta, intensity
26.57, 19
30.35, 51
30.57, 100
43.15, 20
43.55, 37
43.68, 37
44.40, 18
54.73, 20



# 5
+++
- Nov 07,
As a republican looking back at the last election and this election, I've wondered how much really changed in this country. I remember four years ago, the bitterness and outrage that was waged against me by family and friends because I "voted red." I woke up on Wednesday morning and felt no anger, no bitterness, but I did wonder how President-elect Obama had won. In looking at an Electoral College Vote study by a professor at the University of Michigan, Mark Newman, it's interesting to see the changes that took place between this week's election and the one from four years ago.
_Materials data that have nothing to do with the piece_
+++
Starting from a crystal structure in Alexandria, relaxed with PBE+U, the powder diffractogram of CeBMoO6 was simulated for Cu Kα (weighted mean of Kα1 and Kα2).

Largest 6 diffraction maxima, low angle first, 10° ≤ 2θ ≤ 80°:
hkl  2theta  d/Å  I_rel
2 0 0  19.2  4.628  25
3 0 -2  25.9  3.438  100
0 1 2  26.9  3.314  32
2 1 0  28.7  3.111  31
1 0 -4  30.0  2.979  27
5 0 -2  43.9  2.063  24

Structure:
a b c (Å): 10.3951 4.2007 12.1152
angles (deg): 90.00 117.07 90.00
Space group P2_1/c (No. 14)
One atom of each set of equivalent atoms:
Ce 0.1983 0.1754 0.0356 (multiplicity 4)
B 0.0025 0.6780 0.8074 (multiplicity 4)
Mo 0.3539 0.7338 0.8135 (multiplicity 4)
O 0.0015 0.2130 0.0896 (multiplicity 4)
O 0.0314 0.1462 0.3012 (multiplicity 4)
O 0.2583 0.6828 0.1423 (multiplicity 4)
O 0.2599 0.6856 0.4048 (multiplicity 4)
O 0.3340 0.1915 0.2903 (multiplicity 4)
O 0.4558 0.2038 0.1049 (multiplicity 4)

* * * * *

Starting from a PBE-relaxed structure, the PXRD pattern of GaAuI was simulated for λ = 1.5418 Å (Cu Kα).

Principal peaks in the range 2θ from 10° to 90°, by intensity:
2θ/deg, intensity, (hkl)
25.2, 100, 0 1 2
18.6, 55, 1 0 1
15.9, 49, 1 0 0
44.0, 44, 2 1 1
34.0, 36, 1 1 2
27.6, 34, 1 1 0

Structure:
```
GaAuI
1.0
6.4553 0.0000 0.0000
-3.2276 5.5904 0.0000
0.0000 0.0000 9.1081
Ga Au I
3 3 3
Direct
0.1651 0.0291 0.0000 Ga
0.8639 0.8349 0.3333 Ga
0.9709 0.1361 0.6667 Ga
0.0894 0.6962 0.1713 Au
0.3038 0.3931 0.8379 Au
0.6069 0.9106 0.5046 Au
0.1524 0.8012 0.5945 I
0.1988 0.3513 0.2611 I
0.6487 0.8476 0.9278 I
```
+++
Nov 06,In 2001, conservative talk show host Rush Limbaugh found himself having difficulty hearing callers on his radio show. Doctors eventually diagnosed Limbaugh with an auto-immune ear disease, which would leave him virtually deaf. A Cochlear implant was a great option for Limbaugh and the procedure was performed in December 2001 and after outpatient auditory therapy he returned back to work in January of 2002. Now seven years after the surgery, Limbaugh booms across the U.S. airwaves without missing a beat.
Nov 05,One great idea can take on a life of its own, which is exactly what has happened to former President Dwight D. Eisenhower’s idea of bringing ordinary citizens from all over the globe together to communicate face to face, in an effort to solve differences and discover ways to live peacefully together on the planet. The People to People Ambassador Program was launched in 1956, setting in motion a vehicle wherein his mission of global citizenship did flourish.
Nov 04,This is a communication from MSG Jeffrey Pennington, currently stationed at Patrol Base Kaufman, Samarra, Iraq: Since I last made a post we have experienced a lull in enemy activity, at least in our area. However we have had many of the soldiers in my unit begin to take their mid-tour leave which leaves everyone else stretched thin to pick up the slack. I myself have had to do the job of 2 people for 16-18 hour days 7 days a week for quite some time. I will never place blame on anyone who has the opportunity to go home on R&R for a couple weeks as it is well-deserved for the soldiers here and I'm certain their families appreciate
Oct 21,